Excerpt:
'''
Below is a geometry-optimized MgAlRh2 structure, with properties calculated at the PBE level.

Summary:
Mass density: 7496 kg/m3
Space group: Fm-3m, No. 225
Calculated formation energy: -0.84 eV per atom

Cell: 4.3186 4.3186 4.3186 Å, 60.00 60.00 60.00°
Positions (direct):
Rh (0.2500, 0.2500, 0.2500)
Rh (0.7500, 0.7500, 0.7500)
Mg (0.0000, 0.0000, 0.0000)
Al (0.5000, 0.5000, 0.5000)

---

Below is a geometry-optimized LiNd2O6 structure, with properties calculated at the PBE level.

Summary:
Mass density: 4945 kg/m3
Energy relative to the lowest polymorph listed for this composition: 218.8 meV/atom
Space group: C2/m, No. 12
Calculated formation energy: -2.00 eV per atom

Cell: 4.4002 6.2990 7.0730 Å, 70.66 108.12 134.31°
Positions (direct):
O (0.0417, 0.7863, 0.5109)
O (0.9583, 0.2137, 0.4891)
O (0.3461, 0.8609, 0.9702)
O (0.6539, 0.1391, 0.0298)
O (0.3332, 0.4693, 0.7278)
O (0.6668, 0.5307, 0.2722)
Nd (0.5659, 0.2473, 0.6372)
Nd (0.4341, 0.7527, 0.3628)
Li (0.5000, 0.5000, 0.0000)

---

Below is a geometry-optimized Sm2CuO4 structure, with properties calculated at the PBE level.

Summary:
Mass density: 7576 kg/m3
Space group: I4/mmm, No. 139
Calculated formation energy: -3.02 eV per atom

Cell: 3.9365 3.9365 6.6668 Å, 107.17 107.17 90.00°
Positions (direct):
O (0.2500, 0.7500, 0.5000)
O (0.0000, 0.5000, 0.0000)
O (0.5000, 0.0000, 0.0000)
O (0.7500, 0.2500, 0.5000)
Sm (0.3495, 0.3495, 0.6990)
Sm (0.6505, 0.6505, 0.3010)
Cu (0.0000, 0.0000, 0.0000)

---

Below is a geometry-optimized TeCF3 structure, with properties calculated at the PBE level.

Summary:
Mass density: 3068 kg/m3
Space group: P2_1/c, No. 14
Calculated formation energy: -1.43 eV per atom

Cell: 11.7949 7.0346 10.4483 Å, 79.15 90.00 90.00°
Positions (direct):
F (0.5097, 0.3630, 0.7888)
F (0.1227, 0.2289, 0.1887)
F (0.6227, 0.7711, 0.3113)
F (0.4270, 0.0957, 0.8884)
F (0.9270, 0.9043, 0.6116)
F (0.8660, 0.3151, 0.6106)
F (0.6809, 0.5566, 0.9535)
F (0.3773, 0.2289, 0.6887)
F (0.7632, 0.5229, 0.1454)
F (0.4903, 0.6370, 0.2112)
F (0.8773, 0.7711, 0.8113)
F (0.8191, 0.5566, 0.4535)
F (0.3191, 0.4434, 0.0465)
F (0.1340, 0.6849, 0.3894)
F (0.2368, 0.4771, 0.8546)
F (0.7368, 0.5229, 0.6454)
F (0.3660, 0.6849, 0.8894)
F (0.9903, 0.3630, 0.2888)
F (0.6340, 0.3151, 0.1106)
F (0.2632, 0.4771, 0.3546)
F (0.1809, 0.4434, 0.5465)
F (0.5730, 0.9043, 0.1116)
F (0.0097, 0.6370, 0.7112)
F (0.0730, 0.0957, 0.3884)
Te (0.6436, 0.2523, 0.4759)
Te (0.3564, 0.7477, 0.5241)
Te (0.8564, 0.2523, 0.9759)
Te (0.9031, 0.0060, 0.1998)
Te (0.0969, 0.9940, 0.8002)
Te (0.1436, 0.7477, 0.0241)
Te (0.5969, 0.0060, 0.6998)
Te (0.4031, 0.9940, 0.3002)
C (0.7228, 0.4238, 0.0545)
C (0.4673, 0.1901, 0.7713)
C (0.7772, 0.4238, 0.5545)
C (0.5327, 0.8099, 0.2287)
C (0.2228, 0.5762, 0.4455)
C (0.0327, 0.1901, 0.2713)
C (0.9673, 0.8099, 0.7287)
C (0.2772, 0.5762, 0.9455)

---

Below is a geometry-optimized V3S4 structure, with properties calculated at the PBE level.

Summary:
Mass density: 4262 kg/m3
Energy relative to the lowest polymorph listed for this composition: 252.6 meV/atom
Space group: C2/m, No. 12
Calculated formation energy: -1.05 eV per atom

Cell: 6.2998 6.2998 7.0247 Å, 57.74 57.74 28.06°
Positions (direct):
S (0.4076, 0.4076, 0.7443)
S (0.3388, 0.3388, 0.2767)
S (0.5924, 0.5924, 0.2557)
S (0.6612, 0.6612, 0.7233)
V (0.0000, 0.0000, 0.0000)
V (0.0900, 0.0900, 0.5403)
V (0.9100, 0.9100, 0.4597)

---

Below is a geometry-optimized Cs2HgCl4 structure, with properties calculated at the PBE level.

Summary:
Mass density: 3687 kg/m3
Energy relative to the lowest polymorph listed for this composition: 4.3 meV/atom
Space group: P2_12_12_1, No. 19
Calculated formation energy: -1.77 eV per atom

Cell: 7.8737 10.0388 13.8626 Å, 90.00 90.00 90.00°
Positions (direct):
Cs (0.5020, 0.1291, 0.9094)
Cs (0.4980, 0.6291, 0.5906)
Cs (0.5007, 0.2651, 0.3217)
Cs (0.0007, 0.2349, 0.6783)
Cs (0.4993, 0.7651, 0.1783)
Cs (0.9993, 0.7349, 0.8217)
Cs (0.9980, 0.8709, 0.4094)
Cs (0.0020, 0.3709, 0.0906)
'''
Request:
Retype the data above from the first line to the one with "(0.5924, 0.5924," verbatim.
Worked solution:
Below is a geometry-optimized MgAlRh2 structure, with properties calculated at the PBE level.

Summary:
Mass density: 7496 kg/m3
Space group: Fm-3m, No. 225
Calculated formation energy: -0.84 eV per atom

Cell: 4.3186 4.3186 4.3186 Å, 60.00 60.00 60.00°
Positions (direct):
Rh (0.2500, 0.2500, 0.2500)
Rh (0.7500, 0.7500, 0.7500)
Mg (0.0000, 0.0000, 0.0000)
Al (0.5000, 0.5000, 0.5000)

---

Below is a geometry-optimized LiNd2O6 structure, with properties calculated at the PBE level.

Summary:
Mass density: 4945 kg/m3
Energy relative to the lowest polymorph listed for this composition: 218.8 meV/atom
Space group: C2/m, No. 12
Calculated formation energy: -2.00 eV per atom

Cell: 4.4002 6.2990 7.0730 Å, 70.66 108.12 134.31°
Positions (direct):
O (0.0417, 0.7863, 0.5109)
O (0.9583, 0.2137, 0.4891)
O (0.3461, 0.8609, 0.9702)
O (0.6539, 0.1391, 0.0298)
O (0.3332, 0.4693, 0.7278)
O (0.6668, 0.5307, 0.2722)
Nd (0.5659, 0.2473, 0.6372)
Nd (0.4341, 0.7527, 0.3628)
Li (0.5000, 0.5000, 0.0000)

---

Below is a geometry-optimized Sm2CuO4 structure, with properties calculated at the PBE level.

Summary:
Mass density: 7576 kg/m3
Space group: I4/mmm, No. 139
Calculated formation energy: -3.02 eV per atom

Cell: 3.9365 3.9365 6.6668 Å, 107.17 107.17 90.00°
Positions (direct):
O (0.2500, 0.7500, 0.5000)
O (0.0000, 0.5000, 0.0000)
O (0.5000, 0.0000, 0.0000)
O (0.7500, 0.2500, 0.5000)
Sm (0.3495, 0.3495, 0.6990)
Sm (0.6505, 0.6505, 0.3010)
Cu (0.0000, 0.0000, 0.0000)

---

Below is a geometry-optimized TeCF3 structure, with properties calculated at the PBE level.

Summary:
Mass density: 3068 kg/m3
Space group: P2_1/c, No. 14
Calculated formation energy: -1.43 eV per atom

Cell: 11.7949 7.0346 10.4483 Å, 79.15 90.00 90.00°
Positions (direct):
F (0.5097, 0.3630, 0.7888)
F (0.1227, 0.2289, 0.1887)
F (0.6227, 0.7711, 0.3113)
F (0.4270, 0.0957, 0.8884)
F (0.9270, 0.9043, 0.6116)
F (0.8660, 0.3151, 0.6106)
F (0.6809, 0.5566, 0.9535)
F (0.3773, 0.2289, 0.6887)
F (0.7632, 0.5229, 0.1454)
F (0.4903, 0.6370, 0.2112)
F (0.8773, 0.7711, 0.8113)
F (0.8191, 0.5566, 0.4535)
F (0.3191, 0.4434, 0.0465)
F (0.1340, 0.6849, 0.3894)
F (0.2368, 0.4771, 0.8546)
F (0.7368, 0.5229, 0.6454)
F (0.3660, 0.6849, 0.8894)
F (0.9903, 0.3630, 0.2888)
F (0.6340, 0.3151, 0.1106)
F (0.2632, 0.4771, 0.3546)
F (0.1809, 0.4434, 0.5465)
F (0.5730, 0.9043, 0.1116)
F (0.0097, 0.6370, 0.7112)
F (0.0730, 0.0957, 0.3884)
Te (0.6436, 0.2523, 0.4759)
Te (0.3564, 0.7477, 0.5241)
Te (0.8564, 0.2523, 0.9759)
Te (0.9031, 0.0060, 0.1998)
Te (0.0969, 0.9940, 0.8002)
Te (0.1436, 0.7477, 0.0241)
Te (0.5969, 0.0060, 0.6998)
Te (0.4031, 0.9940, 0.3002)
C (0.7228, 0.4238, 0.0545)
C (0.4673, 0.1901, 0.7713)
C (0.7772, 0.4238, 0.5545)
C (0.5327, 0.8099, 0.2287)
C (0.2228, 0.5762, 0.4455)
C (0.0327, 0.1901, 0.2713)
C (0.9673, 0.8099, 0.7287)
C (0.2772, 0.5762, 0.9455)

---

Below is a geometry-optimized V3S4 structure, with properties calculated at the PBE level.

Summary:
Mass density: 4262 kg/m3
Energy relative to the lowest polymorph listed for this composition: 252.6 meV/atom
Space group: C2/m, No. 12
Calculated formation energy: -1.05 eV per atom

Cell: 6.2998 6.2998 7.0247 Å, 57.74 57.74 28.06°
Positions (direct):
S (0.4076, 0.4076, 0.7443)
S (0.3388, 0.3388, 0.2767)
S (0.5924, 0.5924, 0.2557)